
Reverence is Timeless: 5 Characteristics to Personify Proverbs 31 By Martina Casey

“Charm is deceptive and beauty is fleeting, but a woman who fears the Lord is to be praised” (Proverbs 31:30). What was true thousands of years ago is true today. That’s the thing about God. His wisdom is timeless; His commands never go out of style.

<<<
[1]
Here is a relaxed structure of Ca2AlH10BrO8 from Materials Project. Energies are from PBE-GGA.

The structure in POSCAR format:
```
Ca2AlH10BrO8
1.0
1.496 4.773 2.940
7.015 -2.597 -5.019
-5.022 5.602 -6.521
Ca Al H Br O
4 2 20 2 16
Cartesian
5.518 3.265 -5.178
2.264 3.677 -9.906
-2.030 4.512 -3.422
1.224 4.100 1.306
6.129 -0.003 -5.913
-2.640 7.780 -2.687
3.541 2.453 -2.990
3.088 3.887 -3.426
0.529 4.480 -1.895
-0.197 7.093 -2.534
-0.092 1.872 -3.204
0.877 7.898 -6.071
0.263 2.848 -7.744
3.581 5.905 -5.396
3.685 0.685 -6.066
2.960 3.297 -6.706
-2.709 4.884 -6.583
1.581 1.936 -0.729
-1.873 7.081 -5.017
0.401 3.890 -5.174
-0.053 5.325 -5.610
5.362 0.696 -3.583
1.908 5.841 -7.871
6.197 2.893 -2.017
3.225 4.930 -0.856
2.612 -0.121 -2.530
0.996 1.502 -5.770
4.255 1.088 -1.040
3.499 3.062 -3.760
-0.406 4.259 -1.725
-0.894 7.453 -1.953
-0.627 1.515 -2.469
0.201 3.405 -8.552
4.115 6.262 -6.131
4.382 0.325 -6.647
3.895 3.518 -6.875
-2.159 9.445 -3.531
0.863 2.270 -0.158
-2.364 6.701 -4.263
-0.010 4.715 -4.840
5.852 1.076 -4.337
2.626 5.507 -8.442
5.648 -1.668 -5.069
3.287 4.372 -0.048
```

Calculated values
Total energy = -5.411 eV/atom
E_form = -1.892 eV per atom

---

[2]
Here is a relaxed structure of AlMo4S8 from Materials Project. Energies are from PBE-GGA.

The structure in POSCAR format:
```
AlMo4S8
1.0
-4.906 -4.906 0.000
-4.906 0.000 -4.906
0.000 -4.906 -4.906
Al Mo S
1 4 8
Cartesian
0.000 0.000 0.000
-3.902 -3.902 -3.902
-3.902 -5.911 -5.911
-5.911 -5.911 -3.902
-5.911 -3.902 -5.911
-1.320 -1.320 -1.320
-1.320 -3.586 -3.586
-3.586 -3.586 -1.320
-3.597 -6.216 -3.597
-3.597 -3.597 -6.216
-6.216 -3.597 -3.597
-6.216 -6.216 -6.216
-3.586 -1.320 -3.586
```

Calculated values
Total energy = -7.000 eV/atom
E_form = -1.139 eV per atom
Offset from the most stable computed form = 0.23 kJ per mole of atoms

---

[3]
Here is a relaxed structure of BaZn2P2O8 from Materials Project. Energies are from PBE-GGA.

The structure in POSCAR format:
```
BaZn2P2O8
1.0
9.907 0.000 0.000
0.000 8.707 0.000
0.000 0.242 9.282
Ba Zn P O
4 8 8 32
Cartesian
9.084 2.352 5.613
4.130 6.718 8.310
0.824 6.597 3.669
5.777 2.231 0.972
6.751 5.192 4.090
3.156 3.757 5.192
5.698 0.815 6.574
1.798 3.636 0.551
4.209 8.134 2.708
9.163 0.694 1.933
0.744 8.255 7.349
8.110 5.313 8.731
5.834 4.024 6.883
0.880 5.045 7.040
9.027 3.904 2.242
4.074 4.924 2.399
6.972 8.394 3.957
2.018 0.434 0.684
2.936 0.555 5.325
7.889 8.514 8.598
4.159 6.365 1.813
9.113 2.463 2.828
5.748 2.584 7.469
0.794 6.486 6.454
6.487 7.053 4.540
1.534 1.775 0.101
3.420 1.896 4.742
8.374 7.174 9.181
6.846 4.033 5.713
1.892 5.037 8.210
3.061 4.916 3.569
8.015 3.912 1.072
6.907 0.791 5.057
1.953 8.279 8.866
3.001 8.158 4.225
7.954 0.670 0.416
8.592 4.831 3.422
3.638 3.997 1.219
1.316 4.118 5.860
6.269 4.952 8.063
8.819 0.253 7.419
3.865 8.816 6.504
1.088 8.695 1.863
6.042 0.133 2.778
9.404 4.500 7.486
4.450 4.570 6.437
0.504 4.449 1.796
5.457 4.379 2.845
6.409 8.432 8.109
1.456 0.638 5.814
3.498 0.517 1.173
>>>

With no servants or slaves and without a distaff and a spindle, how are we to follow her godly example? What are we to think of this Proverbs 31 woman in today’s America?

Here are five characteristics she exhibits:

  1. She loves unconditionally. Today’s Proverbs 31 woman heeds Jesus’s command in Matthew 22:37-39 to love the Lord, her God, with all her heart and to love her neighbor as herself.
  2. She’s hardworking. Like the Proverbs 31 woman, she takes care of her family by rolling up her sleeves at home, at work, or both, every day.
  3. She’s generous. The Proverbs 31 woman crosses all her T’s; talent, time, treasure and touch. She shares them lavishly, be it a hug, sizable donation or a simple prayer. She gives of herself generously.
  4. She’s prudent. In James 3:4-5 the tongue is compared to the rudder of the ship, that is, a very small part that controls the movement of a large vessel. The Proverbs 31 woman doesn’t gossip; not even the seemingly harmless kind. She doesn’t allow her rudder to control or sink her ship.
  5. She’s honored. You are a daughter of the Almighty, the King of Kings, Lord of Lords. Set the tone, do it humbly, but, yes, do set the tone. Do it at home. Do it at work. Do it in school. We tell those around us, explicitly and otherwise, how we want to be treated. And being a Princess and all, demand that the men around you treat you with honor and respect due to a daughter of the King of Kings.

The Proverbs 31 woman is your next door neighbor, you know, the mom rushing out the door with snacks and a change of clothes for everyone but herself. She’s the young woman prostrated in front of the Blessed Sacrament considering a religious vocation.

She’s the working momma rushing home to cook dinner for her family.  She’s the grandmother singing songs about the Lord (thank you Josh Wilson for this one-liner from your “Dream Small”).

She’s the pro-life activist reassuring a teenager that she’s not alone. She’s my friend, who’s grieving the loss of her daughter, Clara Philomena, who passed on to the Light of the Lord never having seen the light of this world, but still believes that the Lord is merciful and kind.

## These materials data were left in the piece by mistake
____________
A geometry-optimized Mg6VZnO8 structure, computed with r2SCAN.

```
Mg6VZnO8
1.0
8.459 0.000 0.000
0.000 4.237 0.000
0.000 0.000 4.237
Mg V Zn O
6 1 1 8
direct
0.000 0.500 0.500
0.500 0.500 0.500
0.249 0.000 0.500
0.751 0.000 0.500
0.249 0.500 0.000
0.751 0.500 0.000
0.500 0.000 0.000
0.000 0.000 0.000
0.248 0.000 0.000
0.752 0.000 0.000
0.250 0.500 0.500
0.750 0.500 0.500
0.000 0.000 0.500
0.500 0.000 0.500
0.000 0.500 0.000
0.500 0.500 0.000
```

Computed properties:
symmetry: No. 123
energy relative to the elements: -2699 meV per atom


A geometry-optimized CaTlBr3 structure, computed with r2SCAN.

```
CaTlBr3
1.0
2.130 -7.093 0.000
2.130 7.093 0.000
0.000 0.000 10.876
Ca Tl Br
2 2 6
direct
0.000 0.000 0.000
0.000 0.000 0.500
0.257 0.743 0.250
0.743 0.257 0.750
0.635 0.365 0.051
0.365 0.635 0.949
0.365 0.635 0.551
0.635 0.365 0.449
0.932 0.068 0.250
0.068 0.932 0.750
```

Computed properties:
symmetry: No. 63
energy relative to the elements: -1803 meV per atom


A geometry-optimized LaNiGe3 structure, computed with r2SCAN.

```
LaNiGe3
1.0
4.402 0.002 0.000
0.002 4.402 0.000
-2.202 -2.202 4.841
La Ni Ge
1 1 3
direct
0.572 0.572 0.144
0.235 0.235 0.469
0.330 0.830 0.660
0.830 0.330 0.660
0.991 0.991 0.982
```

Computed properties:
symmetry: No. 107
energy relative to the elements: -641 meV per atom


Entry 1:
LiFe2P2O8, relaxed, DFT PBE with a Hubbard U; largest piezoelectric modulus = 0.33 C/m²; mass density = 3.63 g cm⁻³; energy relative to the lowest polymorph listed for this composition = 0 meV/atom; energy relative to the elements = -2.3888 eV/atom
1.0
4.088 -2.713 0.000
4.088 2.713 0.000
-0.094 0.000 6.365
Li Fe P O
1 2 2 8
direct
0.000 0.000 0.000 Li
0.666 0.666 0.734 Fe
0.668 0.668 0.254 Fe
0.019 0.019 0.503 P
0.325 0.325 0.992 P
0.367 0.894 0.511 O
0.423 0.423 0.195 O
0.435 0.435 0.799 O
0.439 0.975 0.982 O
0.894 0.367 0.511 O
0.908 0.908 0.699 O
0.921 0.921 0.296 O
0.975 0.439 0.982 O



Entry 2:
Li5Fe4P8O28, relaxed, DFT PBE with a Hubbard U; mass density = 3.03 g cm⁻³; energy relative to the lowest polymorph listed for this composition = 8 meV/atom; energy relative to the elements = -2.4828 eV/atom
1.0
9.759 0.000 0.000
0.091 9.796 0.000
2.251 0.021 10.929
Li Fe P O
10 8 16 56
direct
0.000 0.000 0.000 Li
0.022 0.289 0.933 Li
0.269 0.518 0.903 Li
0.462 0.320 0.424 Li
0.498 0.938 0.993 Li
0.530 0.632 0.401 Li
0.567 0.636 0.899 Li
0.737 0.128 0.494 Li
0.795 0.828 0.482 Li
0.976 0.611 0.423 Li
0.092 0.796 0.773 Fe
0.142 0.019 0.274 Fe
0.142 0.500 0.623 Fe
0.182 0.305 0.129 Fe
0.590 0.150 0.777 Fe
0.629 0.940 0.278 Fe
0.640 0.436 0.622 Fe
0.681 0.644 0.124 Fe
0.005 0.011 0.564 P
0.007 0.580 0.026 P
0.260 0.075 0.865 P
0.268 0.515 0.333 P
0.316 0.303 0.692 P
0.364 0.771 0.196 P
0.412 0.672 0.687 P
0.453 0.147 0.206 P
0.496 0.937 0.565 P
0.508 0.369 0.020 P
0.763 0.870 0.871 P
0.768 0.428 0.332 P
0.826 0.646 0.689 P
0.865 0.173 0.203 P
0.909 0.273 0.695 P
0.945 0.798 0.213 P
0.018 0.662 0.147 O
0.022 0.190 0.224 O
0.039 0.919 0.159 O
____________

*This post is dedicated to all the children, who like Clara Philomena, went to the Lord having never seen the light of this world.